Michelle Flaherty
By Michelle Flaherty
A couple weeks ago, I received an e-mail from a person I didn’t know. The person was inquiring on a property that another broker in my office had listed, and they wanted to set up an appointment to view it.
So I did a few things I almost always do before I meet a new prospective client. First, I Googled them. If a person’s name and e-mail/phone number they contacted me from is nowhere to be found on the Internet, it’s not an automatic red flag, but it’s not helpful either. Next, I Facebook searched this person — not to learn anything personal, but just to see a photo and if we have any mutual friends. In this case, nothing turned up. Finally, because I didn’t know who I was meeting, I brought my team member along with me… who also happens to be my father.
I could tell during the showing that the customer was bothered by my father’s presence. Their comments and demeanor implied that they knew exactly why my father was there, and was offended by my lack of trust. Sensing the customer’s discomfort, my anxiety level became elevated as well. Elevated heart rate, pit in my stomach, the whole bit. As it turned out, the property wasn’t a fit for this person. Whether or not he was well-meaning , I’ll never know. This person never called me again, and I never followed up. The potential business didn’t seem worth recreating the awkwardness of that showing.
In the end, by bringing my father along with me to meet a strange man, I erred on the side of safety — but I didn’t make a sale or gain a client. In fact, in seven years of real estate, I have never initiated a successful business relationship with any client I’ve started the process with by bringing a bodyguard along. This could be for one of a few reasons: Either all of those people had bad intentions (unlikely); my palpable lack of trust totally killed the rapport (likely); or I’m totally paranoid (is that bad?).
As real estate practitioners, we market a personal, trust-based service to what is becoming an increasingly anonymous public, and I think we’re only beginning to feel the conflict between safety tactics and solid salesmanship in the new guards-down Web 2.0 marketplace. Our moms told us never to talk to strangers, but our sales coaches tell us we should. And that leaves us with the voice that resides in the pit of our stomachs. In world 2.0, that might just be the No. 1 authority for us to consult.
Michelle Flaherty is an associate broker with Prudential Northeast Properties, serving Greater Portland, Maine. Visit her Web site at www.michelleflaherty.com.
Comments 3
Pingback: Tweets that mention Safety, Salesmanship, and the Anonymous Internet Lead: Michelle Flaherty By Michelle Flaherty A couple weeks ago, ... -- Topsy.com
We had a guy come in from a Crime Prevention unit out of Atlanta, I believe, that spoke to our office about this very issue. There have been some really bad things that have happend to Realtors. The issue that caught my attention was holding open houses. Think about it. You post several directional signs out in the neighborhood letting people passing by know that, “Hey I am here and alone”. Trusting the pit of your stomach is key in staying safe. Also before touring with someone, I always let someone else know where I am going. Great article.
Between two parts of the text: calculated molecules
=====
(1)
50
Properties=species:S:1:pos:R:3:forces:R:3:mulliken_charge:R:1 method="wB97M-V/def2-TZVPD" smiles="CCO[C@@H](C#N)[C@](C#N)(CCCCCN)CC(=O)I.c1ccncc1" orbital_gap_ev=9.85 fmax_ev_per_a=0.5 e_lumo_ha=0.0158 total_energy_ha=-1368.02594
C -3.7590 0.8681 -0.1183 -0.02 0.00 0.00 -1.135
C -2.8955 0.2829 -1.2154 -0.16 0.03 -0.13 -0.332
O -1.5799 -0.0402 -0.7424 0.10 -0.07 -0.06 -0.251
C -0.5626 0.7892 -1.2015 0.09 0.06 0.17 -0.056
C -0.6217 2.1486 -0.5996 0.03 -0.12 -0.10 -0.377
N -0.6597 3.2050 -0.1564 0.00 0.10 -0.06 -0.454
C 0.7930 0.0944 -0.9067 0.04 0.00 -0.14 1.983
C 1.8264 0.9536 -1.5286 -0.37 -0.31 0.22 -0.474
N 2.6250 1.6088 -2.0213 0.28 0.23 -0.17 -0.574
C 0.7946 -1.2757 -1.6692 0.07 -0.01 -0.12 -1.398
C 0.9791 -2.5572 -0.8638 -0.11 -0.05 0.00 -0.240
C 1.0784 -3.7630 -1.8032 0.01 0.03 -0.12 -0.962
C 0.5916 -5.0729 -1.1844 0.06 -0.03 0.08 -0.536
C 0.3045 -6.1706 -2.2202 -0.06 0.03 -0.05 -0.511
N -1.1411 -6.4102 -2.3430 0.04 0.05 0.12 -0.610
C 1.1880 0.0484 0.5948 0.06 0.18 0.12 -1.200
C 0.2760 -0.6141 1.6174 -0.12 -0.15 -0.19 -0.100
O 0.4197 -1.7218 2.0037 0.04 -0.16 0.10 -0.444
I -1.2531 0.5843 2.5269 0.12 0.19 0.24 0.012
H -3.3753 1.8323 0.2207 -0.04 -0.07 -0.03 0.264
H -3.7927 0.1909 0.7366 -0.05 0.05 -0.09 0.230
H -4.7749 1.0070 -0.4955 0.05 0.01 0.02 0.426
H -2.8179 0.9749 -2.0622 0.01 -0.04 0.04 0.375
H -3.3232 -0.6496 -1.5933 0.04 0.04 0.06 0.360
H -0.6155 0.9302 -2.2906 -0.04 -0.03 0.05 0.685
H -0.1592 -1.3599 -2.1953 0.06 0.04 0.00 0.418
H 1.5696 -1.2307 -2.4397 -0.03 0.00 0.07 0.434
H 0.1219 -2.6999 -0.2017 0.12 0.06 -0.01 0.342
H 1.8730 -2.4979 -0.2387 -0.09 -0.06 0.06 0.318
H 0.4891 -3.5672 -2.7081 -0.02 -0.03 0.09 0.452
H 2.1169 -3.8807 -2.1313 -0.08 0.01 -0.10 0.288
H -0.3225 -4.8696 -0.6143 0.03 -0.04 -0.07 0.419
H 1.3230 -5.4370 -0.4567 -0.03 0.09 -0.01 0.284
H 0.8563 -7.0838 -1.9683 -0.01 0.05 0.03 0.318
H 0.6661 -5.8351 -3.1982 0.06 -0.11 0.06 0.318
H -1.3254 -7.3342 -2.7148 0.00 0.07 -0.09 0.229
H -1.5723 -6.3782 -1.4267 0.02 -0.07 -0.01 0.216
H 1.3753 1.0704 0.9351 -0.05 -0.05 -0.04 0.697
H 2.1241 -0.5096 0.6627 0.00 0.10 0.00 0.567
N -0.0839 4.9831 3.9742 0.01 0.01 0.00 -0.515
C 0.6866 5.8248 4.6594 -0.01 -0.01 0.00 -0.243
C 1.6713 6.6112 4.0793 0.00 0.00 -0.01 -0.306
C 1.8680 6.5191 2.7105 0.00 0.00 0.00 -0.381
C 1.0731 5.6481 1.9837 0.01 0.00 -0.03 -0.315
C 0.1148 4.9061 2.6585 -0.04 -0.06 0.08 -0.169
H 0.5066 5.8713 5.7281 0.01 0.01 0.00 0.351
H 2.2666 7.2774 4.6890 0.00 0.00 0.01 0.362
H 2.6267 7.1156 2.2200 0.00 0.00 0.00 0.363
H 1.1844 5.5379 0.9134 -0.01 -0.01 0.00 0.406
H -0.5186 4.2152 2.1159 0.01 0.02 -0.01 0.464

(2)
58
Properties=species:S:1:pos:R:3:forces:R:3:mulliken_charge:R:1 method="wB97M-V/def2-TZVPD" orbital_gap_ev="7.35 / 6.41" fmax_ev_per_a=0.1 multiplicity=2 e_lumo_ha="-0.0121 / -0.0555" total_energy_ha=-5792.34659
Ti -0.1642 0.2672 -0.5163 0.04 0.00 0.02 -0.821
C -1.9858 -2.3154 0.1372 -0.01 0.00 -0.03 -0.620
C -1.9322 -0.9633 -0.5682 -0.07 -0.08 0.02 -1.709
=====
Perhaps you could try an initial meeting at your office to go over what the buyer is looking for and understand their needs better. I would imagine by the end of that meeting you would know if they are a serious buyer or not.
We do our screening on the phone and we can normally tell how serious they are.
We get most of our leads from the internet and we do not know them nor do we meet them in the office first, and so far we have not had a problem.